Please restate the lines below up to the one that holds "_symmetry_space_group_name_Hall '-I", that line included.

=====
Entry 1:
Material: ScHg2Cl
Method: DFT, PBE
State: relaxed

CIF file:
```
data_ScHg2Cl
_space_group_name_H-M_alt 'I m m m'
_space_group_IT_number 71
_space_group_name_Hall '-I 2 2'
_cell_length_a 3.2019
_cell_length_b 4.3076
_cell_length_c 14.1201
_cell_angle_alpha 90.00
_cell_angle_beta 90.00
_cell_angle_gamma 90.00
loop_
_atom_site_label
_atom_site_type_symbol
_atom_site_fract_x
_atom_site_fract_y
_atom_site_fract_z
Sc1 Sc 0.0000 0.0000 0.0000
Hg1 Hg 0.0000 0.5000 0.3108
Cl1 Cl 0.0000 0.0000 0.5000
```

Results
magnetization	0.000	μB/f.u.
ΔE to the lowest computed polymorph	13.2	kJ/mol of atoms
calculated volume	24.344	A^3/atom
energy relative to the elements, uncorrected	-0.5675	eV per atom
energy	-22.10	eV per cell


Entry 2:
Material: MnSe
Method: DFT, PBE
State: relaxed

CIF file:
```
data_MnSe
_space_group_name_H-M_alt 'P 63 m c'
_space_group_IT_number 186
_space_group_name_Hall 'P 6c -2c'
_cell_length_a 4.2195
_cell_length_b 4.2195
_cell_length_c 6.8049
_cell_angle_alpha 90.00
_cell_angle_beta 90.00
_cell_angle_gamma 120.00
loop_
_atom_site_label
_atom_site_type_symbol
_atom_site_fract_x
_atom_site_fract_y
_atom_site_fract_z
Mn1 Mn 0.3333 0.6667 0.0000
Se1 Se 0.3333 0.6667 0.3789
```

Results
magnetization	5.000	μB/f.u.
calculated volume	26.231	A^3/atom
energy relative to the elements, uncorrected	-0.3573	eV per atom
energy	-26.74	eV per cell


Entry 3:
Material: Ba2SmThSb4
Method: DFT, PBE
State: relaxed

CIF file:
```
data_Ba2SmThSb4
_space_group_name_H-M_alt 'P 1 2/m 1'
_space_group_IT_number 10
_cell_length_a 8.0940
_cell_length_b 4.6793
_cell_length_c 8.4392
_cell_angle_alpha 90.00
_cell_angle_beta 108.71
_cell_angle_gamma 90.00
loop_
_space_group_symop_operation_xyz
'x,y,z'
'-x,-y,-z'
'-x,y,-z'
'x,-y,z'
loop_
_atom_site_label
_atom_site_type_symbol
_atom_site_fract_x
_atom_site_fract_y
_atom_site_fract_z
Ba1 Ba 0.0000 0.0000 0.0000
Ba2 Ba 0.5000 0.5000 0.0000
Sm1 Sm 0.0000 0.5000 0.5000
Th1 Th 0.5000 0.0000 0.5000
Sb1 Sb 0.2387 0.0000 0.7158
Sb2 Sb 0.2617 0.5000 0.2835
```

Results
magnetization	0.000	μB/f.u.
calculated volume	37.843	A^3/atom
energy relative to the elements, uncorrected	-0.9910	eV per atom
energy	-40.40	eV per cell


> What is the energy in the second record?

-26.74 eV per cell

* * * * *

No. 1
This record from Alexandria describes LiC4 after structural relaxation. The functional is PBE.

As for the crystal system: tetragonal. The value obtained for the energy of formation is 2324 meV per atom. As for the energy above the most stable polymorph in this dataset: 115.56 kJ/mol of atoms. Its total magnetic moment is 0.00 μB/cell.

```
data_LiC4
_chemical_formula_sum 'Li2 C8'
_symmetry_space_group_name_H-M 'I 4/m'
_symmetry_Int_Tables_number 87
_symmetry_space_group_name_Hall '-I 4'
_cell_length_a 5.878
_cell_length_b 5.878
_cell_length_c 2.427
_cell_angle_alpha 90.00
_cell_angle_beta 90.00
_cell_angle_gamma 90.00
loop_
_atom_site_label
_atom_site_type_symbol
_atom_site_fract_x
_atom_site_fract_y
_atom_site_fract_z
_atom_site_occupancy
Li1 Li 0.000 0.000 0.000 1
C1 C 0.102 0.389 0.500 1
```

=====

No. 2
This record from Alexandria describes AlOs3Cl after structural relaxation. The functional is PBE.

The uncorrected formation energy comes out at 1.804 eV/atom. As for the crystal system: cubic. As for the energy above the most stable polymorph in this dataset: 0.00 kJ/mol of atoms. Its total magnetic moment is 0.00 μB/cell.

```
data_AlOs3Cl
_chemical_formula_sum 'Al1 Os3 Cl1'
_symmetry_space_group_name_H-M 'P m -3 m'
_symmetry_Int_Tables_number 221
_symmetry_space_group_name_Hall '-P 4 2 3'
_cell_length_a 4.355
_cell_length_b 4.355
_cell_length_c 4.355
_cell_angle_alpha 90.00
_cell_angle_beta 90.00
_cell_angle_gamma 90.00
loop_
_atom_site_label
_atom_site_type_symbol
_atom_site_fract_x
_atom_site_fract_y
_atom_site_fract_z
_atom_site_occupancy
Al1 Al 0.000 0.000 0.000 1
Os1 Os 0.000 0.500 0.500 1
Cl1 Cl 0.500 0.500 0.500 1
```

=====

No. 3
=====

Entry 1:
Material: ScHg2Cl
Method: DFT, PBE
State: relaxed

CIF file:
```
data_ScHg2Cl
_space_group_name_H-M_alt 'I m m m'
_space_group_IT_number 71
_space_group_name_Hall '-I 2 2'
_cell_length_a 3.2019
_cell_length_b 4.3076
_cell_length_c 14.1201
_cell_angle_alpha 90.00
_cell_angle_beta 90.00
_cell_angle_gamma 90.00
loop_
_atom_site_label
_atom_site_type_symbol
_atom_site_fract_x
_atom_site_fract_y
_atom_site_fract_z
Sc1 Sc 0.0000 0.0000 0.0000
Hg1 Hg 0.0000 0.5000 0.3108
Cl1 Cl 0.0000 0.0000 0.5000
```

Results
magnetization	0.000	μB/f.u.
ΔE to the lowest computed polymorph	13.2	kJ/mol of atoms
calculated volume	24.344	A^3/atom
energy relative to the elements, uncorrected	-0.5675	eV per atom
energy	-22.10	eV per cell


Entry 2:
Material: MnSe
Method: DFT, PBE
State: relaxed

CIF file:
```
data_MnSe
_space_group_name_H-M_alt 'P 63 m c'
_space_group_IT_number 186
_space_group_name_Hall 'P 6c -2c'
_cell_length_a 4.2195
_cell_length_b 4.2195
_cell_length_c 6.8049
_cell_angle_alpha 90.00
_cell_angle_beta 90.00
_cell_angle_gamma 120.00
loop_
_atom_site_label
_atom_site_type_symbol
_atom_site_fract_x
_atom_site_fract_y
_atom_site_fract_z
Mn1 Mn 0.3333 0.6667 0.0000
Se1 Se 0.3333 0.6667 0.3789
```

Results
magnetization	5.000	μB/f.u.
calculated volume	26.231	A^3/atom
energy relative to the elements, uncorrected	-0.3573	eV per atom
energy	-26.74	eV per cell


Entry 3:
Material: Ba2SmThSb4
Method: DFT, PBE
State: relaxed

CIF file:
```
data_Ba2SmThSb4
_space_group_name_H-M_alt 'P 1 2/m 1'
_space_group_IT_number 10
_cell_length_a 8.0940
_cell_length_b 4.6793
_cell_length_c 8.4392
_cell_angle_alpha 90.00
_cell_angle_beta 108.71
_cell_angle_gamma 90.00
loop_
_space_group_symop_operation_xyz
'x,y,z'
'-x,-y,-z'
'-x,y,-z'
'x,-y,z'
loop_
_atom_site_label
_atom_site_type_symbol
_atom_site_fract_x
_atom_site_fract_y
_atom_site_fract_z
Ba1 Ba 0.0000 0.0000 0.0000
Ba2 Ba 0.5000 0.5000 0.0000
Sm1 Sm 0.0000 0.5000 0.5000
Th1 Th 0.5000 0.0000 0.5000
Sb1 Sb 0.2387 0.0000 0.7158
Sb2 Sb 0.2617 0.5000 0.2835
```

Results
magnetization	0.000	μB/f.u.
calculated volume	37.843	A^3/atom
energy relative to the elements, uncorrected	-0.9910	eV per atom
energy	-40.40	eV per cell


> What is the energy in the second record?

-26.74 eV per cell

* * * * *

No. 1
This record from Alexandria describes LiC4 after structural relaxation. The functional is PBE.

As for the crystal system: tetragonal. The value obtained for the energy of formation is 2324 meV per atom. As for the energy above the most stable polymorph in this dataset: 115.56 kJ/mol of atoms. Its total magnetic moment is 0.00 μB/cell.

```
data_LiC4
_chemical_formula_sum 'Li2 C8'
_symmetry_space_group_name_H-M 'I 4/m'
_symmetry_Int_Tables_number 87
_symmetry_space_group_name_Hall '-I 4'